**Wanted**
Repeat only the lines underneath with the word "Ge" in them.
**Data**
~~~
(1)
Material: Sm2Pd3Pt3
Method: DFT, PBE
State: optimized geometry

- DFT total energy (eV per atom) = -6.26
- theoretical density (g/cm³) = 13.80

a = 4.204 Å, b = 4.166 Å, c = 8.283 Å
α = 90.00°, β = 90.00°, γ = 90.00°
Atoms (fractional coordinates):
1 Sm 0.000 0.000 0.750
2 Sm 0.000 0.000 0.250
3 Pd 0.500 0.000 0.500
4 Pd 0.000 0.500 0.000
5 Pd 0.000 0.500 0.500
6 Pt 0.500 0.500 0.750
7 Pt 0.500 0.500 0.250
8 Pt 0.500 0.000 0.000

(2)
Material: AlOs3
Method: DFT, PBE
State: optimized geometry

- DFT total energy (eV per atom) = -9.38
- theoretical density (g/cm³) = 17.31

a = 5.472 Å, b = 4.810 Å, c = 8.712 Å
α = 90.00°, β = 90.00°, γ = 90.00°
Atoms (fractional coordinates):
1 Os 0.132 0.922 0.750
2 Os 0.632 0.578 0.250
3 Os 0.368 0.422 0.750
4 Os 0.868 0.078 0.250
5 Os 0.627 0.263 0.999
6 Os 0.127 0.237 0.001
7 Os 0.873 0.763 0.501
8 Os 0.373 0.737 0.499
9 Os 0.373 0.737 0.001
10 Os 0.873 0.763 0.999
11 Os 0.127 0.237 0.499
12 Os 0.627 0.263 0.501
13 Al 0.615 0.930 0.750
14 Al 0.115 0.570 0.250
15 Al 0.885 0.430 0.750
16 Al 0.385 0.070 0.250

(3)
Material: LiCaTl2
Method: DFT, PBE
State: optimized geometry

- DFT total energy (eV per atom) = -2.48
- theoretical density (g/cm³) = 7.42

a = 5.013 Å, b = 6.578 Å, c = 6.578 Å
α = 109.91°, β = 90.00°, γ = 90.00°
Atoms (fractional coordinates):
1 Li 0.250 0.349 0.651
2 Li 0.750 0.651 0.349
3 Ca 0.250 0.872 0.128
4 Ca 0.750 0.128 0.872
5 Tl 0.750 0.607 0.822
6 Tl 0.750 0.178 0.393
7 Tl 0.250 0.393 0.178
8 Tl 0.250 0.822 0.607

(4)
Material: TbNdGePd
Method: DFT, PBE
State: optimized geometry

- theoretical density (g/cm³) = 8.25
- energy relative to the lowest polymorph listed for this composition (meV per atom) = 0

a = 4.048 Å, b = 4.336 Å, c = 5.891 Å
α = 90.00°, β = 110.09°, γ = 90.00°
Atoms (fractional coordinates):
1 Tb 0.863 0.500 0.727
2 Nd 0.140 0.000 0.280
3 Ge 0.578 0.500 0.155
4 Pd 0.419 0.000 0.838

(5)
Material: DyVIr2
Method: DFT, PBE
State: optimized geometry

- DFT total energy (eV per atom) = -8.28
- theoretical density (g/cm³) = 13.06

a = 4.235 Å, b = 4.235 Å, c = 5.470 Å
α = 67.22°, β = 67.22°, γ = 60.00°
Atoms (fractional coordinates):
1 V 0.500 0.500 0.500
2 Ir 0.789 0.789 0.634
3 Ir 0.211 0.211 0.366
4 Dy 0.000 0.000 0.000

(6)
Material: KDySO
~~~
**Reply**
3 Ge 0.578 0.500 0.155